• Data:
+++
Entry 1:
Structure and theoretical XRD peak list of Sr3GeO (the PBE geometry in the Materials Project; copper Kα).

Largest 8 diffraction maxima, sorted by position, 15° ≤ 2θ ≤ 90°:
29.09°, d = 3.070 Å, I = 23; 30.41°, d = 2.940 Å, I = 100; 35.25°, d = 2.546 Å, I = 58; 38.55°, d = 2.336 Å, I = 8; 50.71°, d = 1.800 Å, I = 30; 53.22°, d = 1.721 Å, I = 18; 60.28°, d = 1.535 Å, I = 21; 81.93°, d = 1.176 Å, I = 8

Structure:
```
data_Sr3GeO
_space_group_name_H-M_alt 'P n m a'
_space_group_IT_number 62
_space_group_name_Hall '-P 2ac 2n'
_cell_length_a 7.205
_cell_length_b 10.184
_cell_length_c 7.196
_cell_angle_alpha 90.00
_cell_angle_beta 90.00
_cell_angle_gamma 90.00
loop_
_atom_site_label
_atom_site_fract_x
_atom_site_fract_y
_atom_site_fract_z
Sr1 0.009 0.250 0.061
Sr2 0.223 0.031 0.722
Ge1 0.021 0.750 0.495
O1 0.000 0.000 0.000
```

---

Entry 2:
Structure and theoretical XRD peak list of ScNiP (the PBE geometry in the Materials Project; copper Kα).

Largest 8 diffraction maxima, sorted by position, 15° ≤ 2θ ≤ 90°:
27.22°, d = 3.276 Å, I = 64; 31.53°, d = 2.837 Å, I = 1; 45.20°, d = 2.006 Å, I = 100; 53.57°, d = 1.711 Å, I = 27; 65.84°, d = 1.419 Å, I = 15; 72.63°, d = 1.302 Å, I = 10; 83.46°, d = 1.158 Å, I = 30; 89.82°, d = 1.092 Å, I = 7

Structure:
```
data_ScNiP
_space_group_name_H-M_alt 'F -4 3 m'
_space_group_IT_number 216
_space_group_name_Hall 'F -4 2 3'
_cell_length_a 5.674
_cell_length_b 5.674
_cell_length_c 5.674
_cell_angle_alpha 90.00
_cell_angle_beta 90.00
_cell_angle_gamma 90.00
loop_
_atom_site_label
_atom_site_fract_x
_atom_site_fract_y
_atom_site_fract_z
Sc1 0.000 0.000 0.000
Ni1 0.250 0.250 0.250
P1 0.000 0.000 0.500
```

---

Entry 3:
Structure and theoretical XRD peak list of Na2Zn3SiAs4 (the PBE geometry in the Materials Project; copper Kα).

Largest 8 diffraction maxima, sorted by position, 15° ≤ 2θ ≤ 90°:
23.79°, d = 3.740 Å, I = 31; 24.98°, d = 3.564 Å, I = 22; 25.13°, d = 3.543 Å, I = 41; 27.74°, d = 3.216 Å, I = 23; 27.85°, d = 3.203 Å, I = 45; 34.87°, d = 2.573 Å, I = 43; 44.09°, d = 2.054 Å, I = 61; 44.40°, d = 2.040 Å, I = 100

Structure:
```
data_Na2Zn3SiAs4
_space_group_name_H-M_alt 'C 1 m 1'
_space_group_IT_number 8
_space_group_name_Hall 'C -2y'
_cell_length_a 16.560
_cell_length_b 4.083
_cell_length_c 7.129
_cell_angle_alpha 90.00
_cell_angle_beta 115.40
_cell_angle_gamma 90.00
loop_
_atom_site_label
_atom_site_fract_x
_atom_site_fract_y
_atom_site_fract_z
Na1 0.000 0.000 0.000
Na2 0.001 0.500 0.499
Zn1 0.173 0.500 0.022
Zn2 0.179 0.000 0.497
Zn3 0.299 0.500 0.476
Si1 0.306 0.000 0.959
As1 0.124 0.500 0.295
As2 0.145 0.000 0.807
As3 0.360 0.500 0.185
As4 0.366 0.000 0.704
```

---

Entry 4:
Structure and theoretical XRD peak list of Y2Fe4Si9 (the PBE geometry in the Materials Project; copper Kα).

Largest 8 diffraction maxima, sorted by position, 15° ≤ 2θ ≤ 90°:
31.07°, d = 2.879 Å, I = 100; 33.41°, d = 2.682 Å, I = 23; 38.45°, d = 2.341 Å, I = 42; 42.89°, d = 2.108 Å, I = 51; 46.08°, d = 1.970 Å, I = 99; 56.62°, d = 1.626 Å, I = 17; 58.10°, d = 1.588 Å, I = 26; 58.26°, d = 1.584 Å, I = 19

Structure:
```
data_Y2Fe4Si9
_space_group_name_H-M_alt 'P -3 m 1'
_space_group_IT_number 164
_space_group_name_Hall '-P 3 2"'
_cell_length_a 3.9396
_cell_length_b 3.9396
_cell_length_c 16.0915
_cell_angle_alpha 90.00
_cell_angle_beta 90.00
_cell_angle_gamma 120.00
loop_
_atom_site_label
_atom_site_fract_x
_atom_site_fract_y
_atom_site_fract_z
Y1 0.3333 0.6667 0.2583
Fe1 0.3333 0.6667 0.6009
Fe2 0.3333 0.6667 0.9113
Si1 0.0000 0.0000 0.0000
Si2 0.0000 0.0000 0.1493
Si3 0.0000 0.0000 0.3740
Si4 0.3333 0.6667 0.0643
Si5 0.3333 0.6667 0.4571
```

---

- Number 1 is which compound?
  Sr3GeO

* * * * *

Simulated PXRD pattern
Compound: Yb4Fe3B6
Radiation: Cu Kα X-rays
Structure: the GGA-PBE geometry in Alexandria
Kinematic intensities with the Lorentz-polarization factor, no thermal factor.

Atomic structure:
```
data_Yb4Fe3B6
_space_group_name_H-M_alt 'R -3 m'
_space_group_IT_number 166
+++
• Job:
Please retype everything further up character by character.
• Reply:
Entry 1:
Structure and theoretical XRD peak list of Sr3GeO (the PBE geometry in the Materials Project; copper Kα).

Largest 8 diffraction maxima, sorted by position, 15° ≤ 2θ ≤ 90°:
29.09°, d = 3.070 Å, I = 23; 30.41°, d = 2.940 Å, I = 100; 35.25°, d = 2.546 Å, I = 58; 38.55°, d = 2.336 Å, I = 8; 50.71°, d = 1.800 Å, I = 30; 53.22°, d = 1.721 Å, I = 18; 60.28°, d = 1.535 Å, I = 21; 81.93°, d = 1.176 Å, I = 8

Structure:
```
data_Sr3GeO
_space_group_name_H-M_alt 'P n m a'
_space_group_IT_number 62
_space_group_name_Hall '-P 2ac 2n'
_cell_length_a 7.205
_cell_length_b 10.184
_cell_length_c 7.196
_cell_angle_alpha 90.00
_cell_angle_beta 90.00
_cell_angle_gamma 90.00
loop_
_atom_site_label
_atom_site_fract_x
_atom_site_fract_y
_atom_site_fract_z
Sr1 0.009 0.250 0.061
Sr2 0.223 0.031 0.722
Ge1 0.021 0.750 0.495
O1 0.000 0.000 0.000
```

---

Entry 2:
Structure and theoretical XRD peak list of ScNiP (the PBE geometry in the Materials Project; copper Kα).

Largest 8 diffraction maxima, sorted by position, 15° ≤ 2θ ≤ 90°:
27.22°, d = 3.276 Å, I = 64; 31.53°, d = 2.837 Å, I = 1; 45.20°, d = 2.006 Å, I = 100; 53.57°, d = 1.711 Å, I = 27; 65.84°, d = 1.419 Å, I = 15; 72.63°, d = 1.302 Å, I = 10; 83.46°, d = 1.158 Å, I = 30; 89.82°, d = 1.092 Å, I = 7

Structure:
```
data_ScNiP
_space_group_name_H-M_alt 'F -4 3 m'
_space_group_IT_number 216
_space_group_name_Hall 'F -4 2 3'
_cell_length_a 5.674
_cell_length_b 5.674
_cell_length_c 5.674
_cell_angle_alpha 90.00
_cell_angle_beta 90.00
_cell_angle_gamma 90.00
loop_
_atom_site_label
_atom_site_fract_x
_atom_site_fract_y
_atom_site_fract_z
Sc1 0.000 0.000 0.000
Ni1 0.250 0.250 0.250
P1 0.000 0.000 0.500
```

---

Entry 3:
Structure and theoretical XRD peak list of Na2Zn3SiAs4 (the PBE geometry in the Materials Project; copper Kα).

Largest 8 diffraction maxima, sorted by position, 15° ≤ 2θ ≤ 90°:
23.79°, d = 3.740 Å, I = 31; 24.98°, d = 3.564 Å, I = 22; 25.13°, d = 3.543 Å, I = 41; 27.74°, d = 3.216 Å, I = 23; 27.85°, d = 3.203 Å, I = 45; 34.87°, d = 2.573 Å, I = 43; 44.09°, d = 2.054 Å, I = 61; 44.40°, d = 2.040 Å, I = 100

Structure:
```
data_Na2Zn3SiAs4
_space_group_name_H-M_alt 'C 1 m 1'
_space_group_IT_number 8
_space_group_name_Hall 'C -2y'
_cell_length_a 16.560
_cell_length_b 4.083
_cell_length_c 7.129
_cell_angle_alpha 90.00
_cell_angle_beta 115.40
_cell_angle_gamma 90.00
loop_
_atom_site_label
_atom_site_fract_x
_atom_site_fract_y
_atom_site_fract_z
Na1 0.000 0.000 0.000
Na2 0.001 0.500 0.499
Zn1 0.173 0.500 0.022
Zn2 0.179 0.000 0.497
Zn3 0.299 0.500 0.476
Si1 0.306 0.000 0.959
As1 0.124 0.500 0.295
As2 0.145 0.000 0.807
As3 0.360 0.500 0.185
As4 0.366 0.000 0.704
```

---

Entry 4:
Structure and theoretical XRD peak list of Y2Fe4Si9 (the PBE geometry in the Materials Project; copper Kα).

Largest 8 diffraction maxima, sorted by position, 15° ≤ 2θ ≤ 90°:
31.07°, d = 2.879 Å, I = 100; 33.41°, d = 2.682 Å, I = 23; 38.45°, d = 2.341 Å, I = 42; 42.89°, d = 2.108 Å, I = 51; 46.08°, d = 1.970 Å, I = 99; 56.62°, d = 1.626 Å, I = 17; 58.10°, d = 1.588 Å, I = 26; 58.26°, d = 1.584 Å, I = 19

Structure:
```
data_Y2Fe4Si9
_space_group_name_H-M_alt 'P -3 m 1'
_space_group_IT_number 164
_space_group_name_Hall '-P 3 2"'
_cell_length_a 3.9396
_cell_length_b 3.9396
_cell_length_c 16.0915
_cell_angle_alpha 90.00
_cell_angle_beta 90.00
_cell_angle_gamma 120.00
loop_
_atom_site_label
_atom_site_fract_x
_atom_site_fract_y
_atom_site_fract_z
Y1 0.3333 0.6667 0.2583
Fe1 0.3333 0.6667 0.6009
Fe2 0.3333 0.6667 0.9113
Si1 0.0000 0.0000 0.0000
Si2 0.0000 0.0000 0.1493
Si3 0.0000 0.0000 0.3740
Si4 0.3333 0.6667 0.0643
Si5 0.3333 0.6667 0.4571
```

---

- Number 1 is which compound?
  Sr3GeO

* * * * *

Simulated PXRD pattern
Compound: Yb4Fe3B6
Radiation: Cu Kα X-rays
Structure: the GGA-PBE geometry in Alexandria
Kinematic intensities with the Lorentz-polarization factor, no thermal factor.

Atomic structure:
```
data_Yb4Fe3B6
_space_group_name_H-M_alt 'R -3 m'
_space_group_IT_number 166